The + pages (or informative pages), or landing pages are pages on which your visitor arrives after clicking on a specific link (article, advertisement, newsletter).
These pages can be a real tool for your SEO strategy. Very often used in marketing campaigns or promotions, the + pages are intended to guide this same visitor towards conversion.
To access the SEO tool for your Page +, head onto the Content > Pages > Configuration / SEO section.
You will find 4 sections :
Page name
The page name will only be used to find your page in the administration interface. It will not be displayed on your site.
Title to be displayed in the menu
This is the name of the page that will appear on your store.
H1 of the page
The H1 title is a tag that will send a signal to Google that the information is the title of your page.
Page position in the menu
You can choose between 4 locations for your page:
- Sidebar (Category list/ Page info)
- Footer menu column 1
- Footer menu column 2
- No menu
By using these available fields, you will be able to optimize the last missing elements of your category page:
- The URL of your page
- The title of your page
- The meta description
A maximum number of characters is recommended for the title of the page (60) and its meta description (160). Make sure to respect the number of characters, so that your texts appear in full in Google search results.
You will also be able to preview your optimization (preview on Google and length of your titles and descriptions).
☝️ Good to know
In this section, you can choose to index or not your page.
SEO analysis
Data records that have nothing to do with the piece:
********
Calculated X-ray diffraction stick pattern
Compound: TlVOs2O8
Radiation: Cu Kα X-rays
Structure: a crystal structure in Alexandria, relaxed with GGA+U
Intensities are scaled so that the largest is 100.

abc: 5.4350 5.4350 8.1850
angles: 90.00 90.00 120.00
Sites, in units of the cell vectors:
Tl1 0.0000 0.0000 0.0000
V1 0.0000 0.0000 0.5000
Os1 0.3333 0.6667 0.7146
Os2 0.6667 0.3333 0.2854
O1 0.0461 0.3226 0.6493
O2 0.2766 0.9539 0.6493
O3 0.3226 0.2766 0.3507
O4 0.3333 0.6667 0.9317
O5 0.6667 0.3333 0.0683
O6 0.6774 0.7234 0.6493
O7 0.7234 0.0461 0.3507
O8 0.9539 0.6774 0.3507

Top 12 peaks for 2θ from 10° to 90°, by intensity:
two_theta	intensity	hkl
21.8	100.0	1 0 1
28.9	62.5	0 1 2
33.0	46.3	1 1 0
39.9	20.0	0 2 1
56.4	19.9	3 -2 2
44.4	19.7	2 0 2
52.6	19.1	2 1 1
56.3	14.7	1 1 4
58.9	11.9	3 0 0
69.1	11.7	2 2 0
47.2	11.5	1 1 3
59.8	10.1	1 0 5

* * * * *

Record 1
Theoretical powder XRD pattern of Ba2CaCo2CuF14 for a wavelength of 1.5418 Å, from a cell relaxed with GGA+U.
Neutral-atom scattering factors, no anomalous dispersion.

Top 12 peaks for 10 to 80 degrees two-theta, sorted by position:
2theta	d (Å)	I/Imax
21.32	4.168	16
23.86	3.730	28
25.23	3.530	100
26.74	3.334	23
27.50	3.243	16
27.69	3.222	27
29.57	3.021	35
29.92	2.987	28
38.85	2.318	19
40.14	2.247	19
41.10	2.196	37
55.10	1.667	17

Cell and atoms:
```
Ba2CaCo2CuF14
1.0
6.9615 -2.7199 0.0000
6.9615 2.7199 0.0000
-0.4949 0.0000 14.9201
Ba Ca Co Cu F
4 2 4 2 28
direct
0.0509 0.3306 0.8724
0.1871 0.1871 0.3727
0.6694 0.9491 0.1276
0.8129 0.8129 0.6273
0.3515 0.6485 0.0000
0.5139 0.4861 0.5000
0.0269 0.2181 0.1254
0.0770 0.1613 0.6258
0.7819 0.9731 0.8746
0.8387 0.9230 0.3742
0.4254 0.5681 0.7509
0.4319 0.5746 0.2491
0.0083 0.0057 0.9034
0.0534 0.6733 0.7942
0.0632 0.7722 0.2667
0.0835 0.4143 0.1516
0.1088 0.6505 0.4575
0.2278 0.9368 0.7333
0.2754 0.0434 0.0310
0.2801 0.2269 0.6526
0.3172 0.5764 0.6326
0.3267 0.9466 0.2058
0.3495 0.8912 0.5425
0.4236 0.6828 0.3674
0.4310 0.4612 0.1343
0.5080 0.2492 0.9595
0.5364 0.1874 0.2962
0.5388 0.5690 0.8657
0.5750 0.1099 0.4729
0.5857 0.9165 0.8484
0.6309 0.1960 0.7734
0.7508 0.4920 0.0405
0.7731 0.7199 0.3474
0.8040 0.3691 0.2266
0.8126 0.4636 0.7038
0.8507 0.1378 0.5954
0.8622 0.1493 0.4046
0.8901 0.4250 0.5271
0.9566 0.7246 0.9690
0.9943 0.9917 0.0966
```

---

Record 2
Theoretical powder XRD pattern of BaCaCoF7 for a wavelength of 1.5418 Å, from a cell relaxed with GGA+U.
Neutral-atom scattering factors, no anomalous dispersion.

Top 12 peaks for 10 to 80 degrees two-theta, sorted by position:
2theta	d (Å)	I/Imax
24.32	3.659	100
24.51	3.632	57
24.91	3.575	28
25.65	3.473	80
28.28	3.155	35
30.77	2.906	30
37.50	2.398	29
39.11	2.303	81
40.22	2.242	30
41.17	2.192	28
50.66	1.802	30
52.46	1.744	26

Cell and atoms:
```
BaCaCoF7
1.0
5.8191 0.0000 0.0000
0.0000 10.4379 0.0000
-0.5105 0.0000 9.9308
Ba Ca Co F
4 4 4 28
direct
0.2298 0.1741 0.4947
0.2298 0.3259 0.9947
0.7702 0.6741 0.0053
0.7702 0.8259 0.5053
0.2053 0.5913 0.3209
0.2053 0.9087 0.8209
********
Target keyword
You will be able to check if your target keyword is present in the SEO information of your page. Once your target keyword is added, 8 fields will be analyzed:
(Misplaced data records)
/*
Entry 1:
Theoretical X-ray diffraction stick pattern
Compound: LiSbP4O12
Radiation: λ = 1.5418 Å (Cu Kα)
Structure: a structure optimized by DFT (PBE)

Structural model:
a = 11.1664 Å, b = 11.1664 Å, c = 5.6893 Å
α = 102.74°, β = 102.74°, γ = 69.72°
Atoms (fractional coordinates):
Li 0.0962 0.0962 0.4396
Li 0.9038 0.9038 0.5604
Sb 0.0000 0.5000 0.0000
Sb 0.5000 0.0000 0.0000
P 0.1397 0.7033 0.8441
P 0.2036 0.4335 0.5603
P 0.2967 0.8603 0.1559
P 0.4335 0.2036 0.5603
P 0.5665 0.7964 0.4397
P 0.7033 0.1397 0.8441
P 0.7964 0.5665 0.4397
P 0.8603 0.2967 0.1559
O 0.0623 0.8066 0.6959
O 0.0738 0.6663 0.0105
O 0.1191 0.3963 0.6883
O 0.1727 0.4183 0.2861
O 0.1934 0.9377 0.3041
O 0.2113 0.5753 0.6667
O 0.2687 0.7313 0.0000
O 0.3337 0.9262 0.9895
O 0.3529 0.3529 0.6386
O 0.3963 0.1191 0.6883
O 0.4183 0.1727 0.2861
O 0.4247 0.7887 0.3333
O 0.5753 0.2113 0.6667
O 0.5817 0.8273 0.7139
O 0.6037 0.8809 0.3117
O 0.6471 0.6471 0.3614
O 0.6663 0.0738 0.0105
O 0.7313 0.2687 0.0000
O 0.7887 0.4247 0.3333
O 0.8066 0.0623 0.6959
O 0.8273 0.5817 0.7139
O 0.8809 0.6037 0.3117
O 0.9262 0.3337 0.9895
O 0.9377 0.1934 0.3041

Most intense lines, 5 to 70 degrees two-theta, low angle first:
10.02°, I = 84; 13.87°, I = 100; 16.59°, I = 32; 21.37°, I = 63; 22.21°, I = 27; 26.28°, I = 19; 32.47°, I = 30; 33.54°, I = 25



Entry 2:
Theoretical X-ray diffraction stick pattern
Compound: HoBe17Os
Radiation: λ = 1.5418 Å (Cu Kα)
Structure: a structure optimized by DFT (PBE)

Structural model:
a = 5.6252 Å, b = 5.6252 Å, c = 5.6252 Å
α = 83.13°, β = 83.13°, γ = 83.13°
Atoms (fractional coordinates):
Ho 0.0000 0.0000 0.0000
Be 0.0116 0.0116 0.4905
Be 0.0116 0.4905 0.0116
Be 0.1543 0.6622 0.6622
Be 0.3179 0.3179 0.7939
Be 0.3179 0.7939 0.3179
Be 0.3692 0.6498 0.9569
Be 0.3692 0.9569 0.6498
Be 0.4905 0.0116 0.0116
Be 0.5569 0.5569 0.5569
Be 0.6498 0.3692 0.9569
Be 0.6498 0.9569 0.3692
Be 0.6622 0.1543 0.6622
Be 0.6622 0.6622 0.1543
Be 0.7503 0.7503 0.7503
Be 0.7939 0.3179 0.3179
Be 0.9569 0.3692 0.6498
Be 0.9569 0.6498 0.3692
Os 0.3328 0.3328 0.3328

Most intense lines, 5 to 70 degrees two-theta, low angle first:
15.96°, I = 60; 21.39°, I = 34; 23.84°, I = 100; 24.62°, I = 32; 34.54°, I = 90; 41.93°, I = 30; 48.80°, I = 22; 49.23°, I = 42



Entry 3:
Theoretical X-ray diffraction stick pattern
Compound: Ac4SbIr
Radiation: λ = 1.5418 Å (Cu Kα)
Structure: a structure optimized by DFT (PBE)

Structural model:
a = 7.3825 Å, b = 7.9479 Å, c = 9.1190 Å
α = 74.09°, β = 66.22°, γ = 89.96°
Atoms (fractional coordinates):
Ac 0.0201 0.4597 0.3113
Ac 0.1710 0.9590 0.3128
Ac 0.2714 0.8472 0.8344
Ac 0.3938 0.3477 0.8343
Ac 0.6062 0.6523 0.1657
Ac 0.7286 0.1528 0.1656
Ac 0.8290 0.0410 0.6872
Ac 0.9799 0.5403 0.6887
Sb 0.3246 0.2494 0.5007
Sb 0.6754 0.7506 0.4993
Ir 0.0000 0.5000 0.0000
Ir 0.5000 0.0000 0.0000

Most intense lines, 5 to 70 degrees two-theta, low angle first:
27.23°, I = 50; 27.73°, I = 80; 28.47°, I = 100; 30.54°, I = 30; 33.10°, I = 34; 33.39°, I = 27; 36.37°, I = 32; 43.68°, I = 39
*/
- Title H1
- Meta description
- Page title
- Keyword density in the text
- Introduction
- Number of words in the text
- Subtitles (H2, H3)
- Page URL
SEO Analysis
Once the keyword has been entered, the analysis will show you elements that have already been optimized or problems that need to be addressed. You will then have to follow the recommendations provided by the system.
This is a visual guide, which will allow you to make sure that your keywords are well filled in. You have the option to publish your Page + even if a red cross comes up as a result of your analysis.
💡 Useful Tips
When you're just starting out with your Page + strategy, it will be interesting to list all the events or marketing campaigns you have planned to implement in the coming months. This will allow you to prioritize the content you need to create, while assigning a keyword sequence to each of these pages.
Preview post on social networks (Open Graph)
The open graph allows you to have an overview of the visual and textual content displayed when a user shares the link to your store on social networks or by messages.
👉 Resources
SEO writing: The 10 steps to writing content that's optimized for SEO & Google
💬 Feel free to contact your Business Coaches if you have any questions!